How to add icons to the language nav menu items

How to add icons to the language nav menu items

How to add icons to the language nav menu items
This tutorial is part of our MultilingualPress 2 documentation. In case you are using the newer version 3, please switch to MultilingualPress 3.
By default, our language navigation menus show the language name in its native spelling. This intended: We want to discourage the use of flags for languages. But we do offer the option to use a custom image for each site, and if you want to use that, you can add it to the link text.
The hook for that is mlp_prepare_nav_menu_item_output. You get two variables as input:

$item: The nav menu item, an instance of the class WP_Post with some extra properties.
$translation: An instance of an implementation of the Mlp_Translation_Interface. If we couldn’t find a translation for some reason, this variable is NULL, so you have to test it before you work with it.

The $translation has a method get_icon_url() which is again an object: an instance of the Mlp_Url_Interface. It can be casted to a string to get the URL. Another way is calling the method __toString() directly. If there is an icon, the escaped URL is returned. You get an empty string otherwise.
Here is how you can use it:
* Adds an icon to the menu text
* $item is passed as an object handle, so this function can change it directly
* and doesn’t have to return anything.
* We still return a string value to make unit tests easier.
* @wp-hook mlp_prepare_nav_menu_item_output
* @param WP_Post $item
* @param Mlp_Translation_Interface|NULL $translation Might be NULL
* if there is no translation for the item or
* the other site is not linked to the current
* site.
* @return string When and why we stopped.
function mlp_add_icons_to_menu( WP_Post $item, $translation = NULL ) {

# The page is interrupted by data records
********
# 1
Entry from OMol25: one molecule with the formula C6H7N at a distorted geometry (ωB97M-V/def2-TZVPD).

Each line ends with the natural charge from an NBO analysis.
Geometry (Å):
C (0.90, -1.57, -0.18)  -0.49
H (1.12, -2.34, -0.90)  0.24
H (1.12, -1.77, 0.86)  0.24
C (0.87, -0.10, -0.52)  -0.27
C (-3.19, 1.16, -0.04)  -0.30
N (-1.97, -1.02, 0.07)  -0.41
H (1.25, 2.00, 0.28)  0.23
C (1.59, 0.94, 0.45)  -0.62
H (0.96, 0.09, -1.51)  0.22
H (2.81, 1.02, 0.38)  0.22
H (1.49, 0.57, 1.52)  0.22
H (-3.97, 1.84, -0.20)  0.23
C (-0.38, -0.91, -0.19)  0.35
C (-2.60, 0.09, -0.01)  0.13

Molecular weight in g/mol: 93.13
Maximum force in hartree/bohr: 0.1752
Charge: 0
Orbital gap (spin up / spin down) in eV: 8.4333 / 7.5313
SMILES: C#C/N=C1/C[C@@H]1C
ΔE to the lowest compared entry with this formula, charge and spin in kcal/mol: 165.7
LUMO level (spin up / spin down) in eV: -0.280 / -0.825

# 2
Entry from OMol25: one molecule with the formula C2 (ωB97M-V/def2-TZVPD).

Each line ends with the natural charge from an NBO analysis.
Geometry (Å):
C (-0.57, -0.12, 0.21)  0.00
C (0.57, 0.12, -0.21)  0.00

Molecular weight in g/mol: 24.02
Maximum force in hartree/bohr: 0.0144
Charge: 0
Orbital gap in eV: 6.9216
ΔE to the lowest compared entry with this formula, charge and spin in kcal/mol: 0.1
LUMO level in eV: -4.728

=====

Below is a molecular structure, C8H24ClI2OP2PbS in a non-equilibrium geometry, with properties calculated with ωB97M-V/def2-TZVPD.

```
40
Properties=species:S:1:pos:R:3:forces:R:3
I -0.16958 2.99287 0.23536 0.06 -1.04 -0.19
I 0.06052 -2.41163 1.27563 -0.25 0.02 -0.28
Pb -0.00442 0.08520 -0.81877 0.02 1.09 -0.71
P -2.84149 -0.00094 -0.37774 -1.81 -0.24 -1.09
C -3.71129 0.05208 1.22207 1.21 0.07 0.69
C -3.54323 1.37156 -1.35572 1.14 0.25 0.05
H -4.62580 1.24083 -1.47996 0.21 -0.15 0.17
H -4.54037 -1.41857 -1.40264 0.16 0.16 0.13
H -3.05132 1.37135 -2.33875 -0.25 0.10 0.14
H -2.92510 -1.60047 -2.17106 -0.27 -0.09 0.15
H -3.43226 0.97470 1.75119 -0.24 -0.20 -0.12
H -3.31968 2.31753 -0.84624 -0.20 -0.11 -0.21
C -3.46263 -1.49743 -1.21741 1.06 -0.18 0.13
H -4.80222 0.02243 1.07962 0.33 -0.01 -0.30
H -3.25049 -2.36841 -0.58419 -0.15 0.08 -0.24
H -3.39576 -0.80680 1.83147 -0.24 0.17 -0.13
P 2.82098 0.05006 -0.32849 1.86 -0.23 -1.05
C 3.68617 0.10864 1.27501 -1.22 0.02 0.63
C 3.46186 -1.43786 -1.17382 -1.11 -0.16 0.15
H 2.99217 1.43200 -2.28336 0.26 0.10 0.11
H 4.57907 1.31131 -1.44438 -0.19 -0.16 0.16
H 3.27665 2.37280 -0.78824 0.18 -0.11 -0.21
C 3.49723 1.43137 -1.30761 -1.18 0.28 0.08
H 2.92624 -1.53887 -2.12808 0.27 -0.10 0.12
H 4.53829 -1.34749 -1.35947 -0.15 0.17 0.15
H 4.76102 0.28530 1.12551 -0.28 -0.07 -0.31
H 3.53097 -0.84116 1.80157 0.17 0.16 -0.11
H 3.25704 -2.31469 -0.54532 0.15 0.10 -0.26
H 3.26777 0.91645 1.88949 0.22 -0.09 -0.07
Cl 0.00758 -0.23998 -3.36346 -0.01 0.19 2.01
C 1.04120 -1.17317 4.21703 0.47 -0.29 -0.32
S 0.23149 0.12871 3.26041 0.36 0.21 1.47
C -1.28077 0.26096 4.23216 -0.42 0.29 -0.40
********
# Back to the page

if ( ! is_object( $translation ) )
return ‘no translation object’;

if ( ! class_implements( $translation, ‘Mlp_Translation_Interface’ ) )
return ‘invalid translation object’;

# Between two parts of the article: quantum chemistry results
- - -
This record from OMol25 describes a cluster of 9 separate species, C5H29N2O8 in total at a distorted geometry. The level of theory is the ωB97M-V functional and the def2-TZVPD basis.

Properties
Gap between HOMO and LUMO: 7.5 eV
E_HOMO: -10.33 eV
Calculated total energy: -919.0105 a.u.
LUMO: -2.81 eV
ΔE to the lowest compared entry with this formula, charge and spin: 100.8 kcal per mole
Total charge: +1

Each line ends with the Löwdin charge.
Atoms and positions in Å:
O1 1.837 3.740 -0.875  -0.0873
O2 2.912 -2.002 -1.648  -0.0823
O3 -1.578 -1.411 0.279  -0.0332
O4 -3.424 -2.474 -1.532  -0.0832
O5 -0.328 0.212 -2.810  -0.0812
O6 -1.352 -2.022 -3.303  -0.0658
O7 0.964 2.633 -3.183  -0.0752
O8 -2.080 2.585 -0.072  -0.0400
N1 2.142 -2.095 1.184  0.0558
N2 -0.306 2.724 2.014  0.1716
C1 0.244 -1.999 3.442  -0.0405
C2 1.041 -1.240 1.210  -0.1754
C3 0.372 -0.986 2.359  -0.3118
C4 0.562 1.515 2.109  -0.1358
C5 -0.286 0.334 2.588  -0.1597
H1 -2.579 3.104 -0.726  0.0751
H2 -1.284 -2.798 -3.869  0.0825
H3 -0.107 -0.685 -2.591  0.0021
H4 -2.767 -2.004 -2.093  -0.0170
H5 -1.299 2.554 1.923  0.1231
H6 -0.889 -0.843 -0.060  0.0024
H7 1.108 1.352 1.177  0.1223
H8 0.054 2.235 -2.880  0.0880
H9 -0.099 3.417 2.737  0.1731
H10 -0.654 0.340 -3.743  0.0881
H11 1.100 -2.676 3.424  0.0714
H12 -0.528 0.544 3.632  0.1217
H13 2.153 -3.025 1.591  0.0900
H14 0.041 3.330 1.239  0.1570
H15 1.416 1.758 2.752  0.1433
H16 2.703 4.108 -0.997  0.0230
H17 0.250 -1.492 4.420  0.0829
H18 -2.157 -1.670 -3.748  0.0918
H19 0.756 -0.902 0.225  0.0990
H20 -1.320 0.357 2.145  0.1218
H21 1.483 3.512 -1.773  -0.0036
H22 -1.215 -2.242 0.010  0.0547
H23 1.282 1.870 -3.628  0.0213
H24 2.872 -1.929 0.519  0.0505
H25 3.236 -2.948 -1.578  0.0868
H26 -0.669 -2.618 3.471  0.0988
H27 2.213 -1.989 -2.324  0.0360
H28 -3.399 -1.880 -0.767  0.0132
H29 -2.422 1.709 -0.250  0.0446

* * * * *

A structure of composition C52H62AgBGeN4S2Te, computed with ωB97M-V with the def2-TZVPD basis set.

Structure (ORCA input):
```
! wB97M-V def2-TZVPD RIJCOSX def2/J DEFGRID3
* xyz -1 2
Ag -0.17 -0.16 0.65
Te -1.01 -0.21 3.35
C -0.44 -1.12 5.14
C -0.20 -0.49 6.34
C 0.14 -1.39 7.38
C 0.13 -2.69 6.97
S -0.27 -2.82 5.33
H -0.26 0.58 6.44
H 0.37 -1.08 8.39
H 0.34 -3.57 7.56
C 2.90 -1.87 2.81
C 3.34 -3.23 2.27
C 4.80 -3.19 1.84
C 2.40 -3.83 1.23
C 1.89 -5.10 1.50
C 1.04 -5.75 0.63
C 0.66 -5.11 -0.54
C 1.13 -3.84 -0.85
C 0.69 -3.15 -2.13
C -0.68 -3.60 -2.61
C 1.73 -3.36 -3.25
C 2.01 -3.21 0.04
N 2.52 -1.92 -0.29
B 1.83 -0.63 -0.19
N 2.86 0.25 -0.73
C 3.97 -0.47 -1.17
C 3.75 -1.78 -0.92
C 2.82 1.66 -0.88
C 2.16 2.22 -1.98
C 2.10 3.60 -2.08
C 2.70 4.42 -1.14
C 3.39 3.85 -0.08
C 3.46 2.46 0.07
C 4.23 1.85 1.22
C 3.72 2.33 2.58
C 5.73 2.14 1.08
C 1.57 1.35 -3.07
C 2.14 1.70 -4.44
C 0.05 1.41 -3.09
H 3.50 -1.61 3.68
H 1.85 -1.88 3.10
H 3.01 -1.09 2.06
H 3.28 -3.93 3.12
H 4.98 -2.39 1.12
H 5.12 -4.13 1.40
H 5.44 -2.99 2.71
H 2.18 -5.59 2.43
H 0.67 -6.73 0.86
H -0.02 -5.61 -1.22
H 0.64 -2.08 -1.91
H -0.67 -4.62 -3.00
- - -

if ( FALSE !== strpos( $item->title, ‘get_icon_url() returns an instance of
* Mlp_Url_Interface, so we have to cast it to a string
* before we check it with empty().
* @see Mlp_Url_Interface
$icon_url = (string) $translation->get_icon_url();

if ( empty ( $icon_url ) )
return ‘no icon available’;

$item->title = “ $item->title”;

The article is interrupted by calculated molecules =
/*
[1]
Density functional theory data (ωB97M-V with the def2-TZVPD basis set) for CH5FSi in the gas phase in a non-equilibrium geometry.

Structure (XYZ):
```
8
CH5FSi (ωB97M-V with the def2-TZVPD basis set)
C -0.9528 -0.1422 0.1918
F -1.6681 0.9255 -0.4675
Si 0.9329 -0.0293 -0.1851
H -1.3303 -1.0548 -0.0828
H 1.5637 -1.3921 0.2807
H 1.5746 1.1186 0.7306
H -1.1770 0.2493 1.1581
H 1.0570 0.3249 -1.6258
```

SMILES ... FC[SiH3]
HOMO level ... -11.0 eV
Orbital gap ... 12.05 eV



[2]
Density functional theory data (ωB97M-V with the def2-TZVPD basis set) for C4H6Br2NO3P in the gas phase in a non-equilibrium geometry.

Structure (XYZ):
```
17
C4H6Br2NO3P (ωB97M-V with the def2-TZVPD basis set)
C -0.2891 2.7824 0.2551
C 1.7855 -1.1596 1.0955
C -0.5583 -1.6598 -1.3318
C -1.4565 1.6085 0.5579
N 0.4148 3.6515 0.1381
O 0.3629 0.9139 -1.8858
O 1.6465 -0.3127 -0.0470
O -0.8096 0.4052 0.4261
P 0.2184 -0.0997 -0.8563
Br -2.0746 1.8100 2.4835
Br -2.7845 2.0167 -0.7625
H 2.0048 -2.2734 0.8492
H 0.8368 -1.1172 1.8419
H 2.7230 -0.7960 1.7082
H 0.0441 -2.1070 -2.0666
H -0.6938 -2.2829 -0.4213
H -1.3703 -1.3798 -1.9840
```

SMILES ... CO[P@](C)(=O)OC(Br)(Br)C#N
HOMO level ... -10.9 eV
Orbital gap ... 10.36 eV



[3]
Density functional theory data (ωB97M-V with the def2-TZVPD basis set) for a gas-phase ion, C7H19N3 (charge +2) in a non-equilibrium geometry.

Structure (XYZ):
```
29
C7H19N3 (ωB97M-V with the def2-TZVPD basis set)
C 1.9309 -0.3360 1.0155
C -0.4305 -0.1458 0.9077
C -1.6005 1.4578 1.4775
C -1.7139 0.7948 -1.0930
C 0.2172 2.1832 -0.0865
C 0.1847 -2.5956 -1.1988
C -0.8878 1.0718 0.1811
N 0.6232 -0.4825 1.5917
N 1.8763 -1.3902 -0.1669
N 0.7913 -1.2803 -0.9781
H 2.2453 0.7550 0.6114
H 2.7186 -0.6768 1.6911
H -1.2974 -0.8877 0.9476
H -0.9593 1.5417 2.2761
H -2.4713 0.8925 1.7734
H -1.9730 2.5175 1.0847
H -2.3122 -0.0645 -1.2173
H -2.4844 1.6321 -1.3045
H -1.1373 0.8678 -1.9855
H 0.9499 2.3557 0.5796
H -0.2710 3.2261 -0.2634
H 0.7345 1.8850 -1.0436
H 0.9748 -3.3894 -1.5282
H -0.3243 -2.8297 -0.2822
H -0.5606 -2.4584 -1.9212
H 0.4424 -1.1279 2.3753
H 2.7450 -1.3307 -0.6695
H 1.7092 -2.2824 0.2036
H 0.6519 -0.4399 -1.6232
```

SMILES ... CN[NH2+]C/[NH+]=C\C(C)(C)C
HOMO level ... -18.3 eV
Orbital gap ... 10.45 eV
Charge ... +2
*/

return ‘success’;

‘mlp_prepare_nav_menu_item_output’, // hook
‘mlp_add_icons_to_menu’, // callback
10, // priority
2 // number of accepted arguments
Download as plugin: MultilingualPress Addon: Nav Menu Icons. Activate it as a network plugin, and it will just work without further configuration.
You might have to adjust the image position in your stylesheet. Example:
.mlp-language-nav-item img {
vertical-align: middle;
Here is a screenshot of such a changed menu with our built-in flags. Again: please do not use these flags.
Always add an alt attribute, but leave its value empty if you still have text, so users with screen readers don’t have to waste their time with it. The item text is good enough.